Cla 2a x
Cla 2a x

The Native instruments VC2A is probably my favourite version in a plugin.

cla 2a x cla 2a x

I used a hardware one constantly in 1990's when I was a studio recording engineer. I use this style of compressor as a leveller. Great for bass, guitars, keys, and vocals (in conjunction with another compressor like an 1176 if you need to deal with a vocalist's transients). It leaves transients alone and averages out the signal over time. Like the mid-‘60s classic, the CLA-2A sounds great on guitars and bass, and really shines on vocals. Gain would make the panel inside brighter optically and then you adjust the peak to control the amount of compression (how much of the light the photo cell responds to). Modeled on the legendary electro-optical tube compressor, the Waves CLA-2A emulates the original’s smooth, frequency-dependent behaviors that have made it a favorite of engineers everywhere. Peak control (Threshold, 0 to -48 dB) Gain control (0 to 48 dB) Attack time (Variable, 0. You control it by using the input gain and peak together. Modern Lost Angel is a Universal Audio LA-2A opto Compressor clone. It worked using a luminescent panel as an input and photocells 'seeing' and adapting the compression ration and release, if the photo cell sees light it continues to work. It responds how I remember it.If it was modelled properly then the attack/release and the ratio are dependent on the source signal but generally the original Teletronix was a 10ms attack time, a 4:1 ratio and the release was around 60ms on quick signals with a further hold from 1s - 15s depending on the signal.

cla 2a x

Transients with the CLA-2A will sound less distinct, and the release will reduce punch somewhat however, the sound will be warmer and sometimes. Like the mid-60s classic, the CLA-2A sounds great on guitars and basses and really shines on vocals. The drums will sound tighter, punchier and sharper with the CLA-3A. Modeled on the legendary electro-optical tube compressor, the CLA-2A emulates the smooth, frequency-dependent behaviors of the original that have made it a favorite of engineers everywhere. Initially intended for use in broadcast, the original used an electro-luminescent optical attenuator called T4 for gain reduction. Gain would make the panel inside brighter optically and then you adjust the peak to control the amount of compression (how much of the light the photo cell responds to). The CLA-2A and CLA-3A model this difference, which you’ll hear if you A-B the two compressors on drums and add heavy compression. The CLA-2A is modeled on a hand-wired, tube-based compressor originally produced by Teletronix in the early 1960s.

........
Computed XRD peak list of ZnCoF5 for copper Kα, from DFT lattice parameters and positions (PBE+U).
Kinematic intensities with the Lorentz-polarization factor, no thermal factor.

Cell and atoms:
```
data_ZnCoF5
_symmetry_space_group_name_H-M 'P -1'
_symmetry_Int_Tables_number 2
_symmetry_space_group_name_Hall '-P 1'
_cell_length_a 5.227
_cell_length_b 5.371
_cell_length_c 7.327
_cell_angle_alpha 109.68
_cell_angle_beta 96.34
_cell_angle_gamma 108.06
loop_
_atom_site_label
_atom_site_type_symbol
_atom_site_fract_x
_atom_site_fract_y
_atom_site_fract_z
_atom_site_occupancy
Zn1 Zn 0.033 0.262 0.234 1
Co1 Co 0.500 0.000 0.500 1
Co2 Co 0.500 0.500 0.000 1
F1 F 0.164 0.784 0.555 1
F2 F 0.213 0.147 0.969 1
F3 F 0.229 0.587 0.878 1
F4 F 0.308 0.137 0.358 1
F5 F 0.383 0.629 0.257 1
```

Main lines, sorted by position (10 to 80 degrees two-theta):
two_theta	Rel. int.	index
23.15	100	1 -1 1
27.14	68	0 1 1
28.57	46	1 0 -2
28.72	44	1 1 -1
47.32	28	2 -2 2
48.75	19	-1 1 3
49.04	20	1 2 0
51.65	14	2 1 -3
55.12	15	2 -3 1
56.00	16	0 2 2


[1]
For YSn, a PBE-relaxed structure gives the calculated XRD peak list in this record (Cu Kα, 1.54184 Å).

Structure:
a = 3.8003 Å, b = 3.8003 Å, c = 3.8003 Å
α = 90.00°, β = 90.00°, γ = 90.00°
Space group Pm-3m (No. 221)
One atom of each set of equivalent atoms:
Y 0.0000 0.0000 0.0000 x1
Sn 0.5000 0.5000 0.5000 x1

Main lines, in order of rising 2θ (2θ from 10° to 90°):
2θ 23.41, d 3.800, I = 2, hkl 1 0 0; 2θ 33.34, d 2.687, I = 100, hkl 1 1 0; 2θ 41.14, d 2.194, I = 1, hkl 1 1 1; 2θ 47.87, d 1.900, I = 18, hkl 2 0 0; 2θ 53.95, d 1.700, I = 1, hkl 2 1 0; 2θ 59.59, d 1.551, I = 38, hkl 2 1 1; 2θ 70.03, d 1.344, I = 12, hkl 2 2 0; 2θ 74.97, d 1.267, I = 1, hkl 3 0 0; 2θ 79.81, d 1.202, I = 17, hkl 3 1 0; 2θ 84.57, d 1.146, I = 1, hkl 3 1 1; 2θ 89.29, d 1.097, I = 4, hkl 2 2 2

---

[2]
For YZnSn, a PBE-relaxed structure gives the calculated XRD peak list in this record (Cu Kα, 1.54184 Å).

Structure:
a = 4.5112 Å, b = 4.5112 Å, c = 16.1192 Å
α = 90.00°, β = 90.00°, γ = 120.00°
Space group P6_3/mmc (No. 194)
One atom of each set of equivalent atoms:
Y 0.0000 0.0000 0.0000 x2
Y 0.0000 0.0000 0.2500 x2
Zn 0.3333 0.6667 0.1612 x4
Sn 0.3333 0.6667 0.6138 x4

Main lines, in order of rising 2θ (2θ from 10° to 90°):
2θ 28.24, d 3.160, I = 31, hkl 1 0 3; 2θ 31.90, d 2.805, I = 100, hkl 1 0 4; 2θ 39.97, d 2.256, I = 74, hkl 1 1 0; 2θ 45.74, d 1.984, I = 27, hkl 1 0 7; 2θ 52.03, d 1.758, I = 25, hkl 2 0 4; 2θ 61.73, d 1.503, I = 16, hkl 1 1 8; 2θ 62.33, d 1.490, I = 11, hkl 2 0 7; 2θ 67.56, d 1.386, I = 22, hkl 2 1 4; 2θ 68.37, d 1.372, I = 11, hkl 1 0 11; 2θ 72.60, d 1.302, I = 13, hkl 3 0 0; 2θ 76.66, d 1.243, I = 12, hkl 2 1 7; 2θ 86.25, d 1.128, I = 8, hkl 2 2 0

---

[3]
For Zr5Sn4, a PBE-relaxed structure gives the calculated XRD peak list in this record (Cu Kα, 1.54184 Å).

Structure:
a = 8.8590 Å, b = 8.8590 Å, c = 5.9793 Å
α = 90.00°, β = 90.00°, γ = 120.00°
Space group P6_3/mcm (No. 193)
One atom of each set of equivalent atoms:
........
• The article goes on:

cla 2a x

You control it by using the input gain and peak together. Modeled on the legendary electro-optical tube compressor, this plugin emulates the original’s smooth frequency-dependent behaviors which made it a favorite of engineers everywhere.

-- Data records that have nothing to do with the article --
........
For PrDyHo2, DFT lattice parameters and positions (PBE) gives the computed powder diffraction line list in this record (a wavelength of 1.5418 Å).
Lines closer than 0.1° are merged.

Crystal structure
Lattice parameters (Å, degrees): 3.541 5.462 13.492 90.00 90.00 90.00
Space group Pmmn (No. 59, origin choice 2)
Unique sites:
Pr  0.250  0.250  0.202 (multiplicity 2)
Dy  0.250  0.250  0.685 (multiplicity 2)
Ho  0.250  0.250  0.937 (multiplicity 2)
Ho  0.250  0.750  0.542 (multiplicity 2)

Principal peaks in the range 2θ = 10–90°, in order of rising 2θ:
| 2theta | I_rel | h k l |
| --- | --- | --- |
| 30.07 | 28 | 1 1 0 |
| 30.81 | 47 | 1 1 1 |
| 31.16 | 100 | 0 1 4 |
| 32.79 | 48 | 0 2 0 |
| 32.94 | 31 | 1 1 2 |
| 61.54 | 29 | 2 1 4 |



For SmSi7Os3, DFT lattice parameters and positions (PBE) gives the computed powder diffraction line list in this record (a wavelength of 1.5418 Å).
Lines closer than 0.1° are merged.

Crystal structure
Lattice parameters (Å, degrees): 7.6770 7.6770 20.1550 90.00 90.00 120.00
Space group R-3c (No. 167, hexagonal axes)
Unique sites:
Sm  0.0000  0.0000  0.0000 (multiplicity 6)
Si  0.0000  0.0000  0.2500 (multiplicity 6)
Si  0.0080  0.2001  0.1386 (multiplicity 36)
Os  0.0000  0.3280  0.2500 (multiplicity 18)

Principal peaks in the range 2θ = 10–90°, in order of rising 2θ:
| 2theta | I_rel | h k l |
| --- | --- | --- |
| 26.75 | 100 | 1 1 3 |
| 35.51 | 38 | 1 1 6 |
| 40.71 | 40 | 3 0 0 |
| 46.97 | 34 | 1 1 9 |
| 49.26 | 20 | 0 3 6 |
| 49.38 | 29 | 2 2 3 |



For Ho3S5, DFT lattice parameters and positions (PBE) gives the computed powder diffraction line list in this record (a wavelength of 1.5418 Å).
Lines closer than 0.1° are merged.

Crystal structure
Lattice parameters (Å, degrees): 8.3027 8.3027 5.4958 90.00 90.00 120.00
Space group P6_3/mcm (No. 193)
Unique sites:
Ho  0.0000  0.3638  0.2500 (multiplicity 6)
S  0.0000  0.2803  0.7500 (multiplicity 6)
S  0.3333  0.6667  0.0000 (multiplicity 4)

Principal peaks in the range 2θ = 10–90°, in order of rising 2θ:
| 2theta | I_rel | h k l |
| --- | --- | --- |
| 21.40 | 37 | 1 1 0 |
| 26.92 | 100 | 1 1 1 |
| 32.59 | 26 | 0 0 2 |
| 37.53 | 64 | 3 0 0 |
| 39.32 | 41 | 1 1 2 |
| 50.53 | 33 | 3 0 2 |



For Li13Cu2, DFT lattice parameters and positions (PBE) gives the computed powder diffraction line list in this record (a wavelength of 1.5418 Å).
Lines closer than 0.1° are merged.

Crystal structure
Lattice parameters (Å, degrees): 4.969 7.138 7.950 67.39 85.39 88.15
Space group P-1 (No. 2)
Unique sites:
Li  0.000  0.000  0.000 (multiplicity 1)
Li  0.140  0.228  0.251 (multiplicity 2)
Li  0.199  0.390  0.803 (multiplicity 2)
Li  0.253  0.521  0.407 (multiplicity 2)
Li  0.322  0.664  0.986 (multiplicity 2)
Li  0.360  0.822  0.572 (multiplicity 2)
Li  0.460  0.923  0.206 (multiplicity 2)
Cu  0.082  0.142  0.619 (multiplicity 2)

Principal peaks in the range 2θ = 10–90°, in order of rising 2θ:
| 2theta | I_rel | h k l |
| --- | --- | --- |
| 12.09 | 100 | 0 0 1 |
........
-- Back to the article --


Get the guaranteed best price on Channel Strip Software like the Waves CLA Vocals Native/SG Software Download at. Mixing Vocals with Waves CLA Signature Vocal Plugin. If it was modelled properly then the attack/release and the ratio are dependent on the source signal but generally the original Teletronix was a 10ms attack time, a 4:1 ratio and the release was around 60ms on quick signals with a further hold from 1s - 15s depending on the signal. 7b042e0984 A short video explaining a quick way to get a great vocal sound for all you home.

**Data records, kept here for reference:**
~~~
[1]
The following is a theoretical X-ray powder pattern of SrB2Ir2. It was derived from a cell relaxed with GGA-PBE, using CuKα.
Kinematic intensities with the Lorentz-polarization factor, no thermal factor.

Largest 8 diffraction maxima, by angle, 15 to 90 degrees two-theta:
2theta	intensity
19.19	67
30.39	98
35.04	100
38.08	41
40.87	50
45.66	20
49.08	33
52.66	21

Structural model:
```
data_SrB2Ir2
_symmetry_space_group_name_H-M 'P 1'
_symmetry_Int_Tables_number 1
_cell_length_a 7.1682
_cell_length_b 6.1908
_cell_length_c 5.6235
_cell_angle_alpha 74.53
_cell_angle_beta 56.34
_cell_angle_gamma 49.12
loop_
_symmetry_equiv_pos_as_xyz
'x,y,z'
loop_
_atom_site_label
_atom_site_fract_x
_atom_site_fract_y
_atom_site_fract_z
_atom_site_occupancy
Sr1 0.1250 0.1250 0.1250 1
Sr2 0.8750 0.8750 0.8750 1
B1 0.2006 0.5494 0.2006 1
B2 0.4506 0.7994 0.4506 1
B3 0.5494 0.2006 0.5494 1
B4 0.7994 0.4506 0.7994 1
Ir1 0.2443 0.2443 0.5057 1
Ir2 0.4943 0.4943 0.7557 1
Ir3 0.5057 0.5057 0.2443 1
Ir4 0.7557 0.7557 0.4943 1
```


[2]
The following is a theoretical X-ray powder pattern of Y2BIr2. It was derived from a cell relaxed with GGA-PBE, using CuKα.
Kinematic intensities with the Lorentz-polarization factor, no thermal factor.

Largest 8 diffraction maxima, by angle, 15 to 90 degrees two-theta:
2theta	intensity
22.73	30
26.21	64
32.37	100
42.11	72
43.13	25
46.43	37
54.10	35
54.94	25

Structural model:
```
data_Y2BIr2
_symmetry_space_group_name_H-M 'P 1'
_symmetry_Int_Tables_number 1
_cell_length_a 5.1828
_cell_length_b 5.1828
_cell_length_c 5.1828
_cell_angle_alpha 115.49
_cell_angle_beta 115.49
_cell_angle_gamma 98.00
loop_
_symmetry_equiv_pos_as_xyz
'x,y,z'
loop_
_atom_site_label
_atom_site_fract_x
_atom_site_fract_y
_atom_site_fract_z
_atom_site_occupancy
Y1 0.2500 0.7500 0.5000 1
Y2 0.7500 0.2500 0.5000 1
B1 0.0000 0.0000 0.0000 1
Ir1 0.2962 0.2962 0.0000 1
Ir2 0.7038 0.7038 0.0000 1
```


[3]
The following is a theoretical X-ray powder pattern of ZnBIr. It was derived from a cell relaxed with GGA-PBE, using CuKα.
Kinematic intensities with the Lorentz-polarization factor, no thermal factor.

Largest 8 diffraction maxima, by angle, 15 to 90 degrees two-theta:
2theta	intensity
28.09	100
32.55	15
46.70	68
55.39	46
68.18	11
75.29	19
77.61	6
86.70	23

Structural model:
```
data_ZnBIr
_symmetry_space_group_name_H-M 'P 1'
_symmetry_Int_Tables_number 1
_cell_length_a 3.8902
_cell_length_b 3.8902
_cell_length_c 3.8902
_cell_angle_alpha 60.00
_cell_angle_beta 60.00
_cell_angle_gamma 60.00
loop_
_symmetry_equiv_pos_as_xyz
'x,y,z'
loop_
_atom_site_label
_atom_site_fract_x
_atom_site_fract_y
_atom_site_fract_z
_atom_site_occupancy
Zn1 0.0000 0.0000 0.0000 1
B1 0.5000 0.5000 0.5000 1
Ir1 0.7500 0.7500 0.7500 1
```


[4]
The following is a theoretical X-ray powder pattern of ZrB4Ir3. It was derived from a cell relaxed with GGA-PBE, using CuKα.
Kinematic intensities with the Lorentz-polarization factor, no thermal factor.
~~~

Cla 2a x